Survival Scenario #336

Dec 16, 2004

OK, you're not sure how, but you just woke up in the middle of the desert, at the very computer you are sitting at now ... It is 5am and cold. Confused, you turn the computer on. For a brief moment you get onto the cantina, and find out the worst has happened .... and that everyone is meeting up at ..... which you estimate to be about 300 miles on foot, through the desert and then a swamp (reputed to have zombies), from your current location. The computer goes dead.

Literally remain seated and, without getting up to get the rifle out of the closet, grab 5 things to take with you to bring to the meeting spot to rebuild civilization .... and to get you there in the first place.

munk said:
You mean from what's on the desk in front of you?


Exactly. What can you grab from the chair you are sitting in? And also carry the distance to the meeting spot.
Bamboo said:
Exactly. What can you grab from the chair you are sitting in? And also carry the distance to the meeting spot.

Thank God for rolling chairs.

mPisi, technicality man.
Exactly- my chair has rollers and I'm going to the safe.
But there is a khuk next to the computer and a few other items.

That's brilliant mPisi. You'll be head lawyer in the rebuilding process. :D

~ b

edit ~ I should have said, " with one hand kept on the keyboard .... "

but of course, wireless keyboards. :rolleyes: :D
You're not going to believe a Browning Hi Power, an 18" GRS, a 12" sirupati, a surefire Aviator and a bottle of 18 year old scotch. :yawn: :D
From this chair there's a dearth of useful items withing grabbing range. Fortunately I am carrying a Schrade stockman and large Sebenza, so perhaps I can carve something useful from the chair itself...

Oh, it looks like my teenaged son has left a brand-new, unopened stick of Old Spice High Endurance deodorant next to the monitor. So I'm all set to roll.

Note to self: Consult with Bri for interior decorating advice.
All I can bring are teachers manuals, a cup of coffee, a glass of H2O and a box of kleenex. I'd have to stand up to reach my bilton and I cleaned the rest of my khuks and placed them in strategic spots around the house.....that's what I get for being prepared......I do have a candle, too. That could be nice. :D
BruiseLeee said:
I could probably survive for a week by eating the crumbs in my keyboard.


Good one!

Glad you said the computer and not the bedroom.


Springfield holster, mags and extra box of ball.

BGRS and Mora knife.

Sun Tzu on the desk, bible on the bench, and my broken buddha on the shelf. SAS mini manual here too.

Beer in the refrig behind me.

Mini-BOB in the closet. (full size is in the truck)

Forgot the handcuffs (WoooHooo), binocs, and the duct tape...

There is a pint of Beefeater on the ledge too, does that count?

How about a C cell mag light there too?
Does my bag count as one if I grab it as is? If so, I have a thing of paracord, a pair of pliers, a PrincetonTec Attitude, a Vivitar monocular, a heap of pens and pencils, a pair of knit gloves, a bird call that sounds like a crow and some DayQuil.

At my desk I have 6 Nature Valley granola bars, a standard Stanley screwdriver, a pairing knife, a small bottle of Brut, a pair of Mag-lites 1AAA & 2AA, scotch tape, an umbrella, some snapshots of my wife and the cats and a small pewter Buddha.

In my pockets I have a TOPS Prairie Fox and a Swede 88.

I could stuff all that in my small canvas surplus bag and be on my feet in under a minute. I know that's more than five things but it's what I would grab if I had to flee the office in a hurry. Maybe I'll post my home list later.

well let's see...

rubix cube, backscratcher, junk mail...

yea i'm dead.

Dave Hahn said:
well let's see...

rubix cube, backscratcher, junk mail...

yea i'm dead.


Those can be used as barter items. If you're good a haggling you might be better off than most. :)
Caught at work, hmm, not good. Lessee, 5 things...

Luckily I have a large climbers carabiner- a real one ($10), not aluminum junk. There's been street people harassing employees in the parking lot lately. This makes about the best brass knuckle you could imagine, and you can wear it in plain sight.

Blackie Collins razor knife with two spare blades in pocket today.

Within reach... my filing cabinet. A few hanging folders, but mostly condiments and... oh no.. not again... Chicken Tetrazzini, Vegetable Manicotti & Cheese Tortellini MRE's. About the worst ones, thats why they're here at work & uneaten. I would rather eat Bamboo's Chili. :barf: Unopened accesory packets, so coffee, tea, sugar, matches.

No flashlite, dangit. :mad: But if I can make it to my car, it will be a far prettier picture. Canteen, water pure tabs, a sharp HI BAS, many other needed things.

Must fight the Zombies to the car... worth it just for the BAS.

Ad Astra - 60% prepared. :(

What comes next are calculated crystals, not part of the page:
=====
(1)
Density functional theory data (r²SCAN) for an optimized crystal structure of Zr2AlFe3.

Unit cell a=5.0306 b=5.0306 c=12.5868 alpha=90.00 beta=90.00 gamma=120.00
Space group R-3m (No. 166, hexagonal axes)
Unique sites:
Zr 0.0000 0.0000 0.1222
Al 0.0000 0.0000 0.5000
Fe 0.0000 0.5000 0.0000

Computed properties:
The crystal system is trigonal. The energy above the most stable polymorph in this dataset comes out at 0.070 eV per formula unit.


(2)
Density functional theory data (r²SCAN) for an optimized crystal structure of HoF3.

Unit cell a=6.318 b=6.798 c=4.348 alpha=90.00 beta=90.00 gamma=90.00
Space group Pnma (No. 62)
Unique sites:
Ho 0.130 0.250 0.063
F 0.023 0.750 0.411
F 0.166 0.563 0.879

Computed properties:
The crystal system is orthorhombic.


(3)
Density functional theory data (r²SCAN) for an optimized crystal structure of Ba9In4H.

Unit cell a=14.118 b=14.118 c=5.970 alpha=90.00 beta=90.00 gamma=90.00
Space group I4/m (No. 87)
Unique sites:
Ba 0.000 0.000 0.000
Ba 0.109 0.183 0.500
Ba 0.115 0.372 0.000
In 0.099 0.761 0.000
H 0.000 0.000 0.500

Computed properties:
The crystal system is tetragonal.


(4)
Density functional theory data (r²SCAN) for an optimized crystal structure of In3Ru.

Unit cell a=7.029 b=7.029 c=7.314 alpha=90.00 beta=90.00 gamma=90.00
Space group P4_2/mnm (No. 136)
Unique sites:
In 0.000 0.500 0.000
In 0.155 0.155 0.237
Ru 0.156 0.844 0.000

Computed properties:
The crystal system is tetragonal.


(5)
Density functional theory data (r²SCAN) for an optimized crystal structure of K2Mo3O10.

Unit cell a=13.939 b=7.902 c=8.905 alpha=90.00 beta=99.04 gamma=90.00
Space group C2/c (No. 15)
Unique sites:
K 0.185 0.092 0.157
Mo 0.000 0.195 0.750
Mo 0.109 0.422 0.519
O 0.026 0.409 0.911
O 0.055 0.061 0.887
O 0.122 0.258 0.678
O 0.137 0.309 0.369
O 0.207 0.448 0.081

Computed properties:
The crystal system is monoclinic.


(6)
Density functional theory data (r²SCAN) for an optimized crystal structure of Rb2FeF4.

Unit cell a=4.229 b=4.229 c=13.461 alpha=90.00 beta=90.00 gamma=90.00
Space group I4/mmm (No. 139)
Unique sites:
Rb 0.000 0.000 0.144
Fe 0.000 0.000 0.500
F 0.000 0.000 0.351
F 0.000 0.500 0.000

Computed properties:
The crystal system is tetragonal.


Electronic total energy, respectively: -97.2, -60.2, -337.7, -94.1, -183.4, -73.9 eV per formula unit.
Formation energy from the elements, respectively: -293, -4494, -387, -236, -2231, -2735 meV/atom.

----------

(1)
A relaxed structure of GaP, computed with PBE.

Lattice parameters (Å, degrees): 3.880 3.880 6.395 90.00 90.00 120.00
Atoms (fractional coordinates):
Ga: 0.333 0.667 0.000
Ga: 0.667 0.333 0.500
P: 0.333 0.667 0.626
P: 0.667 0.333 0.126

Summary:
Its energy above the most stable polymorph in this dataset is 11 meV per atom. For the largest piezoelectric modulus, the calculation gives 0.29 C/m². As for the space-group type: No. 186. The value obtained for the formation energy is -0.399 eV/atom.

***

(2)
=====

Hey, are there Animal Zombies? I picture an Undead Alligator or escaped Undead Tiger or Lion, and that's just not a rosy picture.... :confused:
Great thread:D

Ok, i'm at work so i'm going to count what I have my person as well as what is on the desk and surrounding areas.
First, my trusty leatherman wave/AAA mini maglite on my belt. Hey, if a karda, chakma, and khuk count as one, then a baby flashlight and a multitool count as one, right?;) This will have just about every gadet i need and has a niffty bit kit for different screw or torq i come across. Next, I have my Spyderco Resuce 93 clipped to my pocket. Perfect for any fibers that need to be cut and razor sharp. Great emergency knife if i need to dress a wound cut some one free from a car. Next, I have a freshly filled zippo in the watch pocket of my jeans. I don't smoke, but i'm a firm believer in having a good fire with you at all times. Finally, i have 1/2 a liter of water and my sgt karka bilton.
Not exactly what I would want for zombie country, but the nearest stick i cross can be made into a good fire hardened spear. Honestly, i'd feel pretty good with this set up. If i only had an AK or WWII at the office. I'll have to make a note of that and get an a la Rusty back up, back up prgram a goin':D

You caught me in my recliner.

To my left:

1. An HS2K with five full 18 round mags (and one in the spout)
2. My Napoleon sword
3. My new Stag Malla
4. My weird little Tezdar (still trying to figure what that is for)
5. A razor sharp *old* Buffalo Skinner I just touched up yesterday
6. Common reading glasses
7. A pair of hemostats
8. The remote (it's *mine*...all *mine*)
9. Smokes and my good lighter
10. A P-38 can opener

I guess if I am only allowed 5 "items" for a zombie bugout, I'd have to pick:

#1 - The 9m/m (counts as 1 thing and a no-brainer)
#2 - The new Malla (I haven't tested it yet, but trust HI to save my life)
#3 - The P-38 (hey...canned stuff is good stuff and desert rats always stock up)
#4 - Smokes and a lighter (Fire! Yeah, right...I'm addicted to nicotine and zombie time is no time to quit!)
#5 - The Hemostats (there are a lot of little things hard to get a hold of!)

Wish I had at least *some* water next to me for this desert thing...

Get ready for a good laugh. Our computer sits in the middle of my wife's quilting "mess', literally mounds of little scraps of bright colored cloth...I mean I couldn't even make decent camo outta this $#!+ !!! Since I'm in my skivvies (now there's a picture ) I don't even have access to my normal pocket stuff... I'm em bare assed to say, I'll have to walk barefoot an' near nekked to meet you all. with a khuk or a pocket knife I might have been able to rough out a bow stave en route, but NOOOooo.... :rolleyes: :eek: :grumpy: